Mostly SSDD's, and a little Useful, in a lot of Coco

Yes!!! I’ve been meaning to mention it, but keep spacing out. Very cool leaves.
NL Double Serreations

I like the sound of good weed :yum:


I couldn’t stand it anymore, and chopped the SSDD.
SSDD F1 Chop

SSDD F1 Chop (1)

SSDD F1 Chop (2)

She was a weird one, or else I was out of it for her bloom! Viney, viney, viney, with branches crossed over around hither and yon. Lotsa single branches… whoever trained this thing was asleep at the wheel… doofus!

Still a bunch of good top bud without a lot of crispyness, but the lowers ai yi yi!

The fan stems were weird, too. Very brittle, snapped at the slightest bend. I wish I really knew what I did to this one, cause I don’t ever want to do it to another. Only thing I can think of is using those old nutes, just never had salts turn on me like that before. Anyway, it’s fresh from here on out!

Chopping her freed up the space for the HHP, though.

Dialed back the QB, and will let her veg for a bit til she hits 2’, then see if she wants to stretch so I can pull out those foam blocks. Way easier for me than moving the lights!

I also got a better pic of the NL’s serrations.


I’m glad some people are keeping SSDD alive & well. I’ve read everywhere that it’s like the BEST for nerve pain/neuropathy & no one’s selling the seeds. I’m hoping I can get my hands on some in the future, after I’ve gotten decent at growing :slight_smile:


My SSDD would kind of do the same thing, you really had to be on top of the training. We must have the same guy that trains our plants :wink: Mine end up looking like your’s do too.

IME high doses of Silca will do this to stems. Maybe something to look into?


Hay Gonzo! I don’t know if it’s the best for nerve pain, but it does help a lot with mine. Besides being the best all around I’ve found, that’s just one one of the reasons I keep her.

There may still be a pack or two of original F1’s out there, and available, but odds are better for F2’s. There’s more than a few folks here who have made some.

Let me me know when you’re decent at growing, I may have some cuts by then :slight_smile:

That guy is a total slacker, he’d better shape up, lol! I’ve been growing this cut for a few years, and this is the first time she’s been this much of a pain. I’ve got to back and see if I have any pics of what messed up. I don’t want be a plant abuser!

You are right…I do add silica to the feeds. I’d thought about that, and did cut back on her dose about a month ago, probably too late. I’ve been adding Si for a few years, too, at the same rate, and this is the first time I’ve seen this… I think. I do smoke this stuff!

I’ve got a few more clones vegging, I am definitely going to do better parenting.

Do you still a cut going? Maybe in a journal?

Thanks for dropping in!


haha yeah I hear you. I used to take better notes when I was growing with coco and canna A+B. I only had it happen few times with the petioles snapping extra easily. They almost seemed like they were swollen or something… it was strange. I didn’t 100% conclude that silicates were the problem, but my last couple of runs in coco I didn’t use it and didn’t notice the issue. Now that I’m mostly organic, I only use AgSil16H for foliar feeding.

Lost all my cuts when I moved out west. But, I just popped a pack of Bubba Kush Katsu x SSDD from Bodhi. I’ll be logging it here. You’re welcome to tag along.


hi buddy looking good in here,nl gives me whiteys! ssdd is nicer imo but good luck with both,herer hashplant sounds good,thanks for sharing


Ha, nice one @duke!

The only time I ever had the whiteys was in Copenhagen. 1965. First time I ever smoked anything, and it was hash and baccy in a 2 man pup tent with about 20 Danes! I never understood ruining good hash like that!

2x out of 5x Chitral Pakistani Kush cracked and sprouted. That is not good enough odds for finding a girl, so I dropped another 5x in the pooll, then stuck them in the lucky Cheech and Chong DVD. I’m hoping it got luckier since the last 5.

PCK s (1)

The Blueberry Diesel just keeps getting lusher, but still no sign of her team :slight_smile:
BBD (3)

Decided to move the Herer HP to the Big Tent for later logistical juggling.

She was under 16/8, but when I moved her, I noticed some hairs. I don’t usually see that this late in veg, so she got flipped to 10/14/ She was right at 2’, too.

These were a couple of her lower leaves.

Maybe something P related? IDK. I plucked 'em, and hope I don’t see anymore!

I am really enjoying growing the NL #5. I love her structure, and sassy, nubile look, lol! 24 DFF.
NL 5

NL 5 (1)

NL 5 (2)

NL 5 (3)

NL 5 (4)

NL 5 (5)

Hope y’all had a green weekend… it was beautiful fall weather here :slight_smile:


Besides having all the SSDD cuts in the bubble bucket looking like they are on their last legs, I’ve been killing more PCK seedlings… Halloween sacrifices, or just more unwholesome holiday fun?

The first 2 PCK’s are plugging along.

I was hoping for at least for one more for female insurance and pheno variety, but I’ll take what I can get.

On the other hand, the Blueberry Diesel is a young lady!

She got new shoes, 1 gallon size, and a new handbag is on order.

After the Lemon Kush topped herself, the new growth has gone back to normal. I’m going to have to top her again, so we’ll see what mysteries that unlocks.

A little guard bug has gotten through the spider defense line.

The Herer Hashplant was flipped 6 days ago. I am really liking the way she is growing up. She’s looking like she will be filling the tent pretty soon.

NL#5 is at 20 days. She’s very stout, and seems like she may still stretch a little more, but I need to get her caged up. It bites me in the ass every time I put that off.

Her upright structure is great for this space. The upper buds are doing some nice pirouetting around the stalks, and then the lowers are branching upwards. Gotta open up her nethers a bit soon… maybe today!

That’s it for now, hope it’s been this same beautiful fall weather everywhere.
Sammy and Garden


Great looking plants and beautiful property you have there! Like the orange cat adding the fall/Halloween vibes, would consider moving to the Carolinas based on those fall colors if it didn’t get so damn hot and humid in the summer.


Thanks @ElGalloBlanco. I moved back here because I can’t stand the cold, but with the globe warming, it’s become a shoulda been careful what I wished for thing :slight_smile:


I actually got the NL corralled… before she started flopping! TBH, the first time growing her, and she may not want to lay about at all, but I’m not taking chances. I hate picking a lady up off the floor.

Got the suckers and sinks cleared out, too.


It’s looking dim for the PCK’s… the curse of the Black Thumb.
PCK (1)

All the SSDD cuts in the bubble cloner decided to be compost, too. No pics out of respect for the dead.

I’m probably more persistent than smart, so took more cuts and plonked them into coco. Gave each stem a few upward knicks ala @duke 's suggestion. I didn’t think to use aloe, d’oh, so just straight into moist coco.
SSDD Coco Dome (1)

I even found a dome buried in the rubble, and cleaned it up!
SSDD Coco Dome



hi horse good luck with the cloning,might be better if your cups excluded light better,some tape around them maybe?not going to make a massive difference but roots prefer to grow in darkness.
i just binned 6 clones due to extreme slackness on someones part…peace

-- Crystal structures, kept here for reference --
Entry 1:
For CeGaAg, a cell relaxed with GGA-PBE gives the simulated powder X-ray diffraction pattern in this record (Cu Kα X-rays).

```
data_CeGaAg
_chemical_formula_sum 'Ce4 Ga4 Ag4'
_cell_length_a 4.680
_cell_length_b 7.405
_cell_length_c 7.860
_cell_angle_alpha 90.00
_cell_angle_beta 90.00
_cell_angle_gamma 90.00
_space_group_name_H-M_alt 'P m n a'
_space_group_IT_number 53
_space_group_name_Hall '-P 2ac 2'
loop_
_atom_site_label
_atom_site_type_symbol
_atom_site_fract_x
_atom_site_fract_y
_atom_site_fract_z
Ce1 Ce 0.000 0.245 0.044
Ga1 Ga 0.000 0.460 0.664
Ag1 Ag 0.000 0.072 0.661
```

Largest 12 diffraction maxima, most intense first, 5 to 70 degrees two-theta:
- 2θ = 32.88°, rel. 1000
- 2θ = 39.41°, rel. 569
- 2θ = 32.10°, rel. 465
- 2θ = 38.48°, rel. 460
- 2θ = 33.24°, rel. 375
- 2θ = 38.22°, rel. 244
- 2θ = 63.72°, rel. 221
- 2θ = 51.74°, rel. 211
- 2θ = 55.35°, rel. 160
- 2θ = 66.07°, rel. 129
- 2θ = 36.38°, rel. 96
- 2θ = 54.57°, rel. 92

=====

Entry 2:
For La9Ru2Br14, a cell relaxed with GGA-PBE gives the simulated powder X-ray diffraction pattern in this record (Cu Kα X-rays).

```
data_La9Ru2Br14
_chemical_formula_sum 'La9 Ru2 Br14'
_cell_length_a 8.9046
_cell_length_b 8.9046
_cell_length_c 11.9879
_cell_angle_alpha 90.00
_cell_angle_beta 90.00
_cell_angle_gamma 120.00
_space_group_name_H-M_alt 'P -3'
_space_group_IT_number 147
_space_group_name_Hall '-P 3'
loop_
_atom_site_label
_atom_site_type_symbol
_atom_site_fract_x
_atom_site_fract_y
_atom_site_fract_z
La1 La 0.0000 0.0000 0.0000
La2 La 0.0895 0.3608 0.3514
La3 La 0.3333 0.6667 0.0615
Ru1 Ru 0.3333 0.6667 0.2674
Br1 Br 0.0000 0.0000 0.2537
Br2 Br 0.0495 0.6901 0.9065
Br3 Br 0.0954 0.4167 0.6068
```

Largest 12 diffraction maxima, most intense first, 5 to 70 degrees two-theta:
- 2θ = 21.29°, rel. 1000
- 2θ = 36.13°, rel. 957
- 2θ = 31.59°, rel. 933
- 2θ = 34.90°, rel. 823
- 2θ = 13.65°, rel. 557
- 2θ = 22.25°, rel. 500
- 2θ = 38.22°, rel. 411
- 2θ = 30.67°, rel. 365
- 2θ = 27.51°, rel. 325
- 2θ = 42.95°, rel. 278
- 2θ = 44.50°, rel. 235
- 2θ = 49.21°, rel. 223


Record 1
For Ca3Ni3As4O16, a GGA+U-relaxed structure gives the theoretical powder XRD pattern in this record (copper Kα).

Structural model:
a = 9.1928 Å, b = 5.1218 Å, c = 17.2307 Å
α = 90.00°, β = 116.42°, γ = 90.00°
Space group P2_1/c (No. 14)
Inequivalent atoms, fractional coordinates:
Ca (0.0000, 0.0000, 0.0000)
Ca (0.3107, 0.0355, 0.2704)
Ni (0.1974, 0.5177, 0.3781)
Ni (0.5000, 0.0000, 0.5000)
As (0.0393, 0.5097, 0.1588)
As (0.4359, 0.5118, 0.5946)
O (0.0230, 0.6530, 0.6419)
O (0.1013, 0.1467, 0.5927)
O (0.1442, 0.5998, 0.8482)
O (0.1921, 0.0478, 0.7623)
O (0.2535, 0.5633, 0.5060)
O (0.4173, 0.2014, 0.9184)
O (0.4358, 0.6119, 0.6878)
O (0.4917, 0.6953, 0.8990)

Top 6 peaks for 2θ = 10–90°, in order of falling intensity:
(hkl)	2θ/deg	I (rel.)
2 1 -1	26.34	100.0
3 1 -3	34.22	98.2
1 0 -2	11.72	94.5
1 1 3	29.86	72.4
0 2 0	35.04	70.3
2 0 -4	23.51	54.6

Record 2
-- The entry goes on --


Ive found light has absolutely zero bearing on root growth. Shining light on them can cause algae growth and other stuff if they’re wet though, but sans that the roots will grow the same under a 600w hid as they will in the dark. All my bottom fed plants have mats of roots directly under the lights with no issues.

I have had really good luck getting clones rooted using root riots in a dome, over straight into coco or even in the aerocloner recently. Not sure why, but it’s working better.


I know there are a ton of variables at play and wouldn’t be able to suggest a quick fix for your situation. The aeroponic cloning machines for me have been very close to 100% when protocols are followed, whether it’s from mothers or a variety of seed stock. I have had massive failures with cloning in aero cloners in the past but have figured out the problems in my case. In my experience with an aeroponic cloner (turbokloner) the main impediments that I’ve found to successfully cloning are

  • Cleanliness : I always try to sterilize my pruning sheers and cloning machine with bleach and wear gloves while taking cuttings.

  • Unhealthy moms : Overly deficient or rootbound mothers will still root but at less impressive rates. (your cuttings look nice and green so unlikely that it applies to you)

  • Fluctuations or extremes in temperatures or light.


I’m going to put the clear cups into red solos after a bit. When my cuts used to strike, it was encouraging to be able to see the roots! Exciting even!

I don’t mind algae on the medium surface so much, but I’d rather not have it on the insides of the cup. I think it depletes the O2, and I think roots like O2. Says the clone killer, lol!

I use keeping things simple as an excuse to be a slacker! I do sterilize my snips and other tools, but maybe not well enough? The gloves, though, they’re going on my to do list, thanks!

I keep the cuts in the clone box on a heat mat set to 80°, but the thermostat can only keep the temp within 10° of ambient… and sometimes it’s 60°, or lower… I’ll see what I can do about that :slight_smile:

I have a question about embolisms. Some of these cuts (all off the same plant) have hollow stems. I’ve read about embolisms, but not sure I’ve ever seen the results, or if they are even a real thing that would effect pot. Other than death, what’s the result look like?

The last fatalities all got pinched in the middle of their leaves, with a dark coloration at the pinch.

Thanks for the comments, they all make me think :slight_smile:


The cloning adventures continue!

Those plus one that just croaked, and another that I knicked too deeply, leaves 3x.

I think the mold, I’m guessing it’s mold, is from having the dome vents closed. I closed them because the heat mat seemed to be drying things out. There was no condensation on the inside of the dome, so I figured I’d spray some water there, and on the clones. Don’t do that!

Being a glutton for punishment, and having to top the Blueberry Diesel again, I stuck the cuts in a cup of water, brought them upstairs into the sunroom, and stuck them in a warm, shady spot. Never quit hoping, right, lol!

The BBD is lush, even without her tops.

Upcanned the Lemon Kush into a 2 gallon airpot, and stuck her under a 315.

I’m not sure what she’s up to. She seems to be back to identifying as a diploid, but she’s sticking with the faceted, sorta flat stems. I still haven’t done any of my usual shenanigans with her.

I may flip her at 18" instead of the usual 2’, don’t want her to stretch through the floor!

If anyone has any experience with this fasciation stuff, I’d love to hear about it.

The Herer Hashplant is a 14 days, and may turn into a rodeo.

The chamber is 4 x 4.5 x 5, and she’s already sprawled enough to fill the width. I’m reluctant to truss her up before she finishes her stretch, but I may need to get over that!

I tried some training clips on some overstretching tops, but obviously I need to practice this some more. Not as high stress as supercropping, but not exactly lst!

NL#5 is at it’s boring stage, at least to me. Slowly filling in and frosting up.

# Records of crystals that have nothing to do with the entry
____________
[1]
# Ce5Co2Pb2
Calculated PXRD pattern, CuKα. Input: DFT lattice parameters and positions (PBE).
Neutral-atom scattering factors, no anomalous dispersion.

```
data_Ce5Co2Pb2
_chemical_formula_sum 'Ce20 Co8 Pb8'
_space_group_name_H-M_alt 'I m m a'
_space_group_IT_number 74
_space_group_name_Hall '-I 2b 2'
_cell_length_a 6.7468
_cell_length_b 22.0593
_cell_length_c 6.8539
_cell_angle_alpha 90.00
_cell_angle_beta 90.00
_cell_angle_gamma 90.00
loop_
_atom_site_label
_atom_site_type_symbol
_atom_site_fract_x
_atom_site_fract_y
_atom_site_fract_z
Ce1 Ce 0.0000 0.1415 0.0015
Ce2 Ce 0.0000 0.2500 0.5606
Ce3 Ce 0.2500 0.0005 0.7500
Co1 Co 0.0000 0.0000 0.0000
Co2 Co 0.0000 0.2500 0.9491
Pb1 Pb 0.0000 0.1066 0.4982
```

Main lines, low angle first (2θ from 10° to 90°):
2θ/deg  I_rel  h k l
26.0  36  0 0 2
26.4  40  2 0 0
30.6  76  1 6 1
30.7  57  0 4 2
31.1  48  2 4 0
32.5  50  0 8 0
37.4  100  2 0 2
49.3  24  3 6 1
50.4  53  2 8 2
62.0  27  1 14 1


[2]
# Cs8Na4Y3HoCl24
Calculated PXRD pattern, CuKα. Input: DFT lattice parameters and positions (PBE).
Neutral-atom scattering factors, no anomalous dispersion.

```
data_Cs8Na4Y3HoCl24
_chemical_formula_sum 'Cs8 Na4 Y3 Ho1 Cl24'
_space_group_name_H-M_alt 'P 4/m m m'
_space_group_IT_number 123
_space_group_name_Hall '-P 4 2'
_cell_length_a 7.7087
_cell_length_b 7.7087
_cell_length_c 21.8036
_cell_angle_alpha 90.00
_cell_angle_beta 90.00
_cell_angle_gamma 90.00
loop_
_atom_site_label
_atom_site_type_symbol
_atom_site_fract_x
_atom_site_fract_y
_atom_site_fract_z
Cs1 Cs 0.0000 0.5000 0.1250
Cs2 Cs 0.0000 0.5000 0.3751
Na1 Na 0.0000 0.0000 0.0000
Na2 Na 0.0000 0.0000 0.5000
Na3 Na 0.5000 0.5000 0.2502
Y1 Y 0.0000 0.0000 0.2500
Y2 Y 0.5000 0.5000 0.0000
Ho1 Ho 0.5000 0.5000 0.5000
Cl1 Cl 0.0000 0.0000 0.1286
Cl2 Cl 0.0000 0.0000 0.3715
Cl3 Cl 0.2428 0.2428 0.2500
Cl4 Cl 0.2572 0.2572 0.0000
Cl5 Cl 0.2585 0.2585 0.5000
Cl6 Cl 0.5000 0.5000 0.1214
Cl7 Cl 0.5000 0.5000 0.3793
```

Main lines, low angle first (2θ from 10° to 90°):
2θ/deg  I_rel  h k l
14.1  19  1 0 2
23.1  100  2 0 0
28.4  47  2 0 4
32.9  73  2 2 0
40.5  46  3 1 4
47.2  50  4 0 0
53.1  22  4 2 0
55.9  17  4 2 4
63.9  25  5 1 4
78.5  21  6 2 0


[3]
# Bi3Sb
Calculated PXRD pattern, CuKα. Input: DFT lattice parameters and positions (PBE).
Neutral-atom scattering factors, no anomalous dispersion.

```
data_Bi3Sb
_chemical_formula_sum 'Bi9 Sb3'
_space_group_name_H-M_alt 'R 3 m'
_space_group_IT_number 160
_space_group_name_Hall 'R 3 -2"'
_cell_length_a 4.5406
_cell_length_b 4.5406
_cell_length_c 23.9251
_cell_angle_alpha 90.00
_cell_angle_beta 90.00
_cell_angle_gamma 120.00
loop_
_atom_site_label
_atom_site_type_symbol
_atom_site_fract_x
_atom_site_fract_y
_atom_site_fract_z
Bi1 Bi 0.0000 0.0000 0.0000
Bi2 Bi 0.0000 0.0000 0.2303
Bi3 Bi 0.0000 0.0000 0.7352
Sb1 Sb 0.0000 0.0000 0.4992
```

Main lines, low angle first (2θ from 10° to 90°):
2θ/deg  I_rel  h k l
27.1  100  1 0 4
37.8  37  0 1 8
39.7  39  1 1 0
44.3  8  1 0 10
48.8  21  0 2 4
____________

See what I mean? lol!

Broke down the last SSDD.

I only trim to the frost! She gave up just under 8 zips of buds like those from a 2 gallon pot. Probably not much for most of you, but it made me happy!

I squished 4x 1/4’s of trim… it’s quite tasty :yum:

And, after getting the lowdown on fulvic for starting stubborn seeds from @minitiger, I went looking for mine.

It was powder the last time I saw it!

Thanks poking your heads in… it’s 83° here, in November, and Ms H wants me to get up firewood :frowning:


The last 3 little soldiers are down :frowning:

8 more replacements got called up from the rear.

Vermiculite in popsicle molds w/ a hole in the bottom. I keep about 1/2" of water in tray, which wicks up through the hole.

Smaller cuts w/ smaller stems this time. I cleaned everything w/ alcohol, and wore gloves… even tried to clean the flats! They made it through the night!

Suckered the Here HP. 16 days from flip. A little earlier than I usually do it, but the suckers were dragging some of the lower branches down. She’s not finished stretching, but I may have to truss her up early. IDK.

Those clips do seem to work, too… takes me a while sometimes :slight_smile:


I don’t know if it’s a resurrection, or not, but one of the cuts in coco cups came back from the dead! No pics, or roots, you’ll just have to believe! The rest of the cuts in popsicle molds and cups of water are still holding.

The Lemon Kush is still a strange bird. One of the two tops that naturally split is still fasciated.

The other is not.

Can’t get a good pic of the stems, but the the one on the left is flat, and the other isn’t.

There’s some weird fan growth on the flat side too. Fingers under fingers, and more under that.

I love it!

The Blueberry Diesel is getting fatter and sassier.

I did finally lasso the Herer HP. She is a more tangled than Br’er Rabbits briar patch, but luckily without the thorns.

I’m guessing she’s more JH than HP. The supposed JH’s I grew out years ago, were very viney and needed a lot of support. She is wall to wall in her space in her space, even with the wire and stick corral. I give her 1/4 turn every day so she gets an even dose of QB and CMH, and at least her branches aren’t catching on the fan cords anymore. 19 days from flip.

The NL #5 is still slowly fattening.

33 days from flip, and she is really sticky. A little bud fondling, and the smell is a luscious fresh, almost sweet floral thing with a touch of pine needle. It’s really nice.

Sorry about some of those foggy pics, the crawl is shrouded in mystery I guess, or maybe it’s the humidity from the remnants of Nicole!

So thanks for stoopin’ in, hope all is well out there.